+++
{
  "formula": "C42H60BClFeN4O3P2",
  "method": "ωB97M-V/def2-TZVPD",
  "total_charge": 1,
  "s2": 0.762,
  "multiplicity": 2,
  "lumo_energy_ev": [-2.52, -2.57],
  "homo_energy_ev": [-9.5670, -9.2939],
  "e_tot_ha": -4512.5753,
  "symbols": ["Fe", "C", "C", "C", "C", "P", "C", "N", "B", "N", "C", "P", "C", "C", "C", "C", "C", "C", "C", "C", "C", "C", "C", "C", "C", "C", "C", "C", "C", "C", "H", "H", "H", "H", "H", "H", "H", "H", "H", "H", "H", "H", "H", "H", "H", "H", "H", "H", "H", "H", "H", "H", "H", "H", "H", "H", "H", "H", "H", "H", "H", "H", "H", "H", "H", "H", "H", "H", "H", "H", "H", "H", "H", "H", "N", "C", "C", "C", "C", "C", "C", "C", "C", "N", "C", "H", "H", "H", "H", "H", "H", "H", "H", "C", "C", "C", "C", "Cl", "C", "C", "C", "O", "C", "C", "O", "O", "H", "H", "H", "H", "H", "H", "H", "H"],
  "positions_angstrom": [[-0.25, 0.65, -0.16], [-1.00, 1.24, 4.11], [-2.38, 1.01, 3.47], [-3.23, 0.25, 4.50], [-3.02, 2.38, 3.22], [-2.08, 0.06, 1.85], [-1.98, -1.71, 2.49], [-0.62, -2.18, 2.43], [0.12, -2.28, 1.23], [1.50, -2.08, 1.51], [2.53, -1.62, 0.60], [2.19, 0.13, 0.00], [2.97, 1.24, 1.33], [4.36, 0.84, 1.84], [2.00, 1.21, 2.51], [3.03, 2.68, 0.80], [3.23, 0.13, -1.57], [2.58, -0.87, -2.54], [3.17, 1.51, -2.26], [4.70, -0.27, -1.37], [1.61, -2.02, 2.91], [2.73, -1.96, 3.72], [2.54, -1.90, 5.10], [1.27, -1.91, 5.66], [0.14, -2.00, 4.84], [0.32, -2.05, 3.47], [-3.69, 0.04, 0.87], [-4.93, -0.35, 1.67], [-3.91, 1.40, 0.19], [-3.50, -0.97, -0.26], [-1.14, 1.63, 5.12], [-0.40, 0.33, 4.18], [-0.41, 1.98, 3.56], [-3.55, 0.96, 5.27], [-4.12, -0.20, 4.07], [-2.65, -0.53, 5.00], [-2.88, 3.00, 4.11], [-2.58, 2.91, 2.38], [-4.09, 2.30, 3.05], [-2.36, -1.78, 3.50], [-2.61, -2.33, 1.86], [3.51, -1.68, 1.08], [2.57, -2.26, -0.28], [4.39, -0.20, 2.19], [5.14, 0.98, 1.10], [4.61, 1.46, 2.70], [2.10, 0.30, 3.11], [2.21, 2.06, 3.17], [0.97, 1.27, 2.18], [3.92, 2.86, 0.20], [2.16, 2.95, 0.21], [3.08, 3.37, 1.65], [1.50, -0.74, -2.60], [3.00, -0.72, -3.54], [2.79, -1.91, -2.26], [2.15, 1.90, -2.28], [3.81, 2.24, -1.77], [3.53, 1.41, -3.29], [4.79, -1.24, -0.88], [5.18, -0.36, -2.35], [5.26, 0.46, -0.80], [3.73, -1.97, 3.30], [3.41, -1.86, 5.75], [1.15, -1.88, 6.73], [-0.85, -2.04, 5.28], [-5.23, 0.43, 2.38], [-5.77, -0.49, 0.99], [-4.80, -1.28, 2.22], [-4.24, 2.18, 0.87], [-3.00, 1.75, -0.31], [-4.69, 1.29, -0.58], [-3.35, -1.99, 0.07], [-4.41, -0.97, -0.87], [-2.67, -0.69, -0.91], [-0.42, 1.34, -2.30], [-0.30, 2.76, -2.40], [-0.13, 3.44, -3.56], [-0.01, 4.85, -3.56], [-0.08, 5.56, -2.41], [-0.23, 4.87, -1.17], [-0.28, 5.53, 0.08], [-0.38, 4.80, 1.21], [-0.42, 3.39, 1.11], [-0.39, 2.74, -0.02], [-0.32, 3.47, -1.17], [0.03, 0.87, -3.07], [-1.40, 1.06, -2.32], [-0.10, 2.89, -4.49], [0.11, 5.38, -4.50], [-0.01, 6.64, -2.41], [-0.23, 6.61, 0.11], [-0.42, 5.27, 2.18], [-0.44, 2.78, 2.00], [-2.07, -5.94, -2.85], [-3.03, -4.78, -2.98], [-4.40, -5.04, -2.94], [-5.33, -4.03, -3.16], [-7.02, -4.40, -3.09], [-4.92, -2.75, -3.48], [-3.56, -2.48, -3.50], [-2.64, -3.47, -3.22], [-1.31, -3.09, -3.33], [-0.44, -3.36, -2.26], [-0.45, -2.30, -1.17], [-0.36, -1.12, -1.41], [-0.46, -2.79, 0.04], [-2.55, -6.86, -3.18], [-1.75, -6.10, -1.82], [-1.18, -5.79, -3.47], [-4.75, -6.05, -2.75], [-5.64, -1.98, -3.70], [-3.20, -1.49, -3.74], [0.56, -3.34, -2.69], [-0.60, -4.33, -1.80]]
}

***

{
  "formula": "C23H42Cl2HgN2O6P",
  "method": "ωB97M-V/def2-TZVPD",
  "total_charge": -1,
  "multiplicity": 1,
  "lumo_energy_ev": [2.35, 2.35],
  "homo_energy_ev": [-3.5265, -0.7727],
  "e_tot_ha": -2877.7635,
  "de_lowest_kj_mol": 0.0,
  "symbols": ["O", "C", "C", "C", "H", "C", "H", "C", "H", "C", "H", "C", "H", "H", "C", "C", "H", "H", "H", "C", "C", "H", "H", "H", "H", "Hg", "Cl", "Cl", "C", "O", "N", "C", "C", "H", "H", "H", "H", "H", "H", "H", "H", "H", "C", "C", "N", "H", "C", "O", "H", "H", "H", "H", "C", "C", "O", "P", "O", "C", "C", "O", "C", "C", "H", "H", "H", "H", "H", "H", "H", "H", "H", "H", "H", "H", "H", "H", "H"],
+++

Transcribe everything above without altering anything, please.

{
  "formula": "C42H60BClFeN4O3P2",
  "method": "ωB97M-V/def2-TZVPD",
  "total_charge": 1,
  "s2": 0.762,
  "multiplicity": 2,
  "lumo_energy_ev": [-2.52, -2.57],
  "homo_energy_ev": [-9.5670, -9.2939],
  "e_tot_ha": -4512.5753,
  "symbols": ["Fe", "C", "C", "C", "C", "P", "C", "N", "B", "N", "C", "P", "C", "C", "C", "C", "C", "C", "C", "C", "C", "C", "C", "C", "C", "C", "C", "C", "C", "C", "H", "H", "H", "H", "H", "H", "H", "H", "H", "H", "H", "H", "H", "H", "H", "H", "H", "H", "H", "H", "H", "H", "H", "H", "H", "H", "H", "H", "H", "H", "H", "H", "H", "H", "H", "H", "H", "H", "H", "H", "H", "H", "H", "H", "N", "C", "C", "C", "C", "C", "C", "C", "C", "N", "C", "H", "H", "H", "H", "H", "H", "H", "H", "C", "C", "C", "C", "Cl", "C", "C", "C", "O", "C", "C", "O", "O", "H", "H", "H", "H", "H", "H", "H", "H"],
  "positions_angstrom": [[-0.25, 0.65, -0.16], [-1.00, 1.24, 4.11], [-2.38, 1.01, 3.47], [-3.23, 0.25, 4.50], [-3.02, 2.38, 3.22], [-2.08, 0.06, 1.85], [-1.98, -1.71, 2.49], [-0.62, -2.18, 2.43], [0.12, -2.28, 1.23], [1.50, -2.08, 1.51], [2.53, -1.62, 0.60], [2.19, 0.13, 0.00], [2.97, 1.24, 1.33], [4.36, 0.84, 1.84], [2.00, 1.21, 2.51], [3.03, 2.68, 0.80], [3.23, 0.13, -1.57], [2.58, -0.87, -2.54], [3.17, 1.51, -2.26], [4.70, -0.27, -1.37], [1.61, -2.02, 2.91], [2.73, -1.96, 3.72], [2.54, -1.90, 5.10], [1.27, -1.91, 5.66], [0.14, -2.00, 4.84], [0.32, -2.05, 3.47], [-3.69, 0.04, 0.87], [-4.93, -0.35, 1.67], [-3.91, 1.40, 0.19], [-3.50, -0.97, -0.26], [-1.14, 1.63, 5.12], [-0.40, 0.33, 4.18], [-0.41, 1.98, 3.56], [-3.55, 0.96, 5.27], [-4.12, -0.20, 4.07], [-2.65, -0.53, 5.00], [-2.88, 3.00, 4.11], [-2.58, 2.91, 2.38], [-4.09, 2.30, 3.05], [-2.36, -1.78, 3.50], [-2.61, -2.33, 1.86], [3.51, -1.68, 1.08], [2.57, -2.26, -0.28], [4.39, -0.20, 2.19], [5.14, 0.98, 1.10], [4.61, 1.46, 2.70], [2.10, 0.30, 3.11], [2.21, 2.06, 3.17], [0.97, 1.27, 2.18], [3.92, 2.86, 0.20], [2.16, 2.95, 0.21], [3.08, 3.37, 1.65], [1.50, -0.74, -2.60], [3.00, -0.72, -3.54], [2.79, -1.91, -2.26], [2.15, 1.90, -2.28], [3.81, 2.24, -1.77], [3.53, 1.41, -3.29], [4.79, -1.24, -0.88], [5.18, -0.36, -2.35], [5.26, 0.46, -0.80], [3.73, -1.97, 3.30], [3.41, -1.86, 5.75], [1.15, -1.88, 6.73], [-0.85, -2.04, 5.28], [-5.23, 0.43, 2.38], [-5.77, -0.49, 0.99], [-4.80, -1.28, 2.22], [-4.24, 2.18, 0.87], [-3.00, 1.75, -0.31], [-4.69, 1.29, -0.58], [-3.35, -1.99, 0.07], [-4.41, -0.97, -0.87], [-2.67, -0.69, -0.91], [-0.42, 1.34, -2.30], [-0.30, 2.76, -2.40], [-0.13, 3.44, -3.56], [-0.01, 4.85, -3.56], [-0.08, 5.56, -2.41], [-0.23, 4.87, -1.17], [-0.28, 5.53, 0.08], [-0.38, 4.80, 1.21], [-0.42, 3.39, 1.11], [-0.39, 2.74, -0.02], [-0.32, 3.47, -1.17], [0.03, 0.87, -3.07], [-1.40, 1.06, -2.32], [-0.10, 2.89, -4.49], [0.11, 5.38, -4.50], [-0.01, 6.64, -2.41], [-0.23, 6.61, 0.11], [-0.42, 5.27, 2.18], [-0.44, 2.78, 2.00], [-2.07, -5.94, -2.85], [-3.03, -4.78, -2.98], [-4.40, -5.04, -2.94], [-5.33, -4.03, -3.16], [-7.02, -4.40, -3.09], [-4.92, -2.75, -3.48], [-3.56, -2.48, -3.50], [-2.64, -3.47, -3.22], [-1.31, -3.09, -3.33], [-0.44, -3.36, -2.26], [-0.45, -2.30, -1.17], [-0.36, -1.12, -1.41], [-0.46, -2.79, 0.04], [-2.55, -6.86, -3.18], [-1.75, -6.10, -1.82], [-1.18, -5.79, -3.47], [-4.75, -6.05, -2.75], [-5.64, -1.98, -3.70], [-3.20, -1.49, -3.74], [0.56, -3.34, -2.69], [-0.60, -4.33, -1.80]]
}

***

{
  "formula": "C23H42Cl2HgN2O6P",
  "method": "ωB97M-V/def2-TZVPD",
  "total_charge": -1,
  "multiplicity": 1,
  "lumo_energy_ev": [2.35, 2.35],
  "homo_energy_ev": [-3.5265, -0.7727],
  "e_tot_ha": -2877.7635,
  "de_lowest_kj_mol": 0.0,
  "symbols": ["O", "C", "C", "C", "H", "C", "H", "C", "H", "C", "H", "C", "H", "H", "C", "C", "H", "H", "H", "C", "C", "H", "H", "H", "H", "Hg", "Cl", "Cl", "C", "O", "N", "C", "C", "H", "H", "H", "H", "H", "H", "H", "H", "H", "C", "C", "N", "H", "C", "O", "H", "H", "H", "H", "C", "C", "O", "P", "O", "C", "C", "O", "C", "C", "H", "H", "H", "H", "H", "H", "H", "H", "H", "H", "H", "H", "H", "H", "H"],